Did you know you can convert your pdf files into steller images! We’re here to tell you that it's not only possible but surprisingly simple.
You can literally save your pdf files that may contain graphs, text, or statistics into images that you can use for whatever you need.
There are a number of ways you can do that. We outline the most popular methods in this article. By the end, you’d know plenty of ways to do it.
Screenshot Method
Okay, this is hands down the best hack you have available. You simply open a pdf file, scroll down the page you want the image of and then depending on your device, you can take a screenshot.
It’s a lot easier on smartphones and tablets but becomes a little tricker on computers. We’re here to tell you how to do it on PCs and Macbooks.
On a PC, To get a quick screenshot of the active pdf file you’re on, utilize the keyboard shortcut Alt + PrtScrn.
This would snap your pdf file and clone the screenshot to the clipboard. You'll have to open the screenshot in an image editor to save it to disc.
To get a snapshot of your entire pdf on the screen and automatically save the screenshot, press the Windows key and the Print Screen key.
Your screen would momentarily go dim to signify that you've just taken a screenshot, and the screenshot would be saved to the Pictures in the Screenshots folder.
This is how you do it on PC. How it's done on a Mac is discussed briefly in the paragraphs below.
No. 1
DFT (ωB97M-V/def2-TZVPD) results for C41H44N5O3S3SbSc as an isolated structure.

Results
- orbital gap (eV) = 7.3
- maximum force (eV/Å) = 1.8
- LUMO level (eV) = -2.67
- energy relative to the best compared isomer or geometry (same formula, charge and spin) (kJ/mol) = 73.0
- spin multiplicity = 1
- charge = +1

Element x y z (Å)
Sb1 -1.8931 -3.3184 -0.9036
Sc1 0.0797 0.1761 -0.4570
S1 -1.7107 -1.2543 -1.8784
S2 -2.8721 3.5810 -2.4255
S3 2.4169 -1.3611 -0.2454
O1 1.3290 1.9216 -0.7880
O2 0.9196 0.3718 -2.2348
O3 -0.1920 -2.1667 1.1067
N1 4.3054 0.2403 0.6505
N2 -1.6071 0.4086 1.2511
N3 0.9935 0.4331 1.6238
N4 2.3256 0.5294 1.7158
N5 -1.3966 1.9929 -1.0977
C1 -1.1563 0.7361 2.4784
C2 -3.8555 0.6201 2.0368
C3 -1.3083 3.2183 -0.4821
C4 1.5788 2.2375 -4.3987
C5 0.5575 -4.5728 -2.0957
C6 -4.4403 -2.8938 0.5954
C7 3.5343 4.1049 -3.7120
C8 -2.1851 2.0467 -2.1348
C9 1.6406 -5.4301 -2.2221
C10 3.1059 4.0216 -5.0287
C11 -4.4197 -4.7302 -4.1976
C12 0.1468 -5.4271 0.1300
C13 -3.5495 -5.7098 -1.7481
C14 -4.9250 -3.1440 2.9340
C15 -2.0347 1.0150 3.5239
C16 3.0159 -0.0922 0.7775
C17 1.9739 -6.2830 -1.1797
C18 -2.0425 4.1979 -1.0599
C19 -0.1751 -4.5757 -0.9167
C20 5.4341 0.6964 2.8086
C21 2.0091 2.3597 -3.0561
C22 1.4113 1.5261 -1.9918
C23 3.6896 4.9068 -6.0923
C24 1.2290 -6.2837 -0.0087
C25 3.0023 3.2972 -2.7186
C26 -3.1146 -3.2311 0.8451
C27 -2.6874 -3.5179 2.1327
C28 -3.6050 -3.9443 -3.3934
C29 0.2933 0.7952 2.6512
C30 -2.9217 0.3539 1.0515
C31 0.9047 1.2523 3.9372
C32 3.5230 3.4474 -1.3128
C33 4.9645 1.2506 1.4664
C34 0.5281 1.2641 -4.8646
C35 -3.6000 -3.4718 3.1791
C36 -3.1740 -4.4387 -2.1703
C37 -4.7959 -5.9978 -3.7791
C38 -5.3464 -2.8513 1.6430
C39 2.1329 3.0833 -5.3478
C40 -3.3974 0.9626 3.2989
C41 -4.3630 -6.4898 -2.5543
H1 -2.4193 1.1950 -2.7561
H2 1.9787 1.3356 3.8035
H3 2.2198 -5.4341 -3.1357
H4 2.9413 5.1510 -6.8453
H5 4.2545 2.0606 1.6264
H6 -1.6470 1.2723 4.4991
H7 0.2899 -3.9026 -2.9056
H8 -4.0959 1.1945 4.0923
H9 4.8589 -0.3332 0.0384
H10 -0.6702 3.3370 0.3804
H11 -4.6581 -7.4784 -2.2279
H12 1.4881 -6.9559 0.7989
H13 0.5067 2.2251 4.2316
H14 -0.3830 1.3522 -4.2753
H15 -3.2362 0.0863 0.0505
H16 -6.3815 -2.5974 1.4535
H17 0.8706 0.2370 -4.7593
H18 4.0775 5.8305 -5.6658
H19 0.2852 1.4471 -5.9105
H20 -0.4375 -5.4331 1.0420
H21 3.7166 2.4773 -0.8567
H22 -5.6359 -3.1256 3.7498
H23 -0.1805 -2.1475 2.0690
H24 4.3041 4.8209 -3.4472
H25 4.5862 0.2662 3.3408
H26 -4.9105 0.5530 1.8170
H27 -4.7619 -4.3538 -5.1529
H28 2.7859 3.9511 -0.6871
H29 -3.2765 -3.7025 4.1860
H30 4.4418 4.0318 -1.3112
H31 0.7046 0.5464 4.7463
H32 -3.3013 -2.9529 -3.7096
H33 6.1850 -0.0811 2.6652
H34 5.8087 1.6405 0.8976
H35 2.8183 -6.9518 -1.2803
H36 4.5137 4.3981 -6.5971
H37 -2.1413 5.2295 -0.7666
H38 -5.4286 -6.6086 -4.4095
H39 0.7477 -2.2670 0.8325
H40 -1.6565 -3.7874 2.3251
H41 5.8665 1.4920 3.4157
H42 -3.2059 -6.0898 -0.7910
H43 1.7948 3.0050 -6.3750
H44 -4.7627 -2.6767 -0.4179

Cartesian forces, eV/Å:
-0.3 -0.4 0.2
-0.5 -0.6 1.6
0.3 -0.1 0.1
0.1 -0.2 0.1
-0.3 0.1 -0.3
(End of the records of molecules)
To take a screenshot of your pdf file on a mac, simply press and hold the three keys simultaneously: Shift, Command, and 3.
If you spot a thumbnail in the corner of your computer screen, click it to edit the screenshot. Or else, wait for the screenshot to automatically save to your desktop.
You can also capture just the portion of the pdf file by using an alternative and selective screenshot method on macs.
To take selective screenshots of pdf, press shift, command and 4 together. A crosshair will appear. Drag it to select the area of the pdf that you want to capture.
To move selection, press and keep holding the spacebar to move the selection.
Web based solution
Up until now, we only discussed hacks, but if you want a professional image of your pdf file, you can use a lot of web based apps available on different platforms.
Simply go to google or any other search engine, type in pdf to image converter and you’re good to go.
### Quantum chemistry results that have nothing to do with the article
# C12H22N3

A 2-piece molecular cluster, C12H22N3 overall (the ωB97M-V functional and the def2-TZVPD basis, the OMol25 dataset).

```
37
Properties=species:S:1:pos:R:3:forces:R:3:lowdin_spin:R:1
C -2.998286 -2.542995 2.470257 1.0 0.3 -0.1 0.0006
C 0.077671 -0.136774 3.769731 -1.4 0.6 -5.0 0.0165
C 1.218678 -0.338227 2.771572 1.3 0.5 0.4 0.0711
C -0.698727 0.987457 3.032435 -1.8 2.2 1.8 0.0218
C -1.219648 1.208110 0.518243 0.4 0.2 -1.3 0.0799
C -1.353450 -0.056547 -0.388311 -2.3 -0.2 -0.9 0.0675
C 0.814528 -0.825310 0.152314 -0.9 -1.4 4.5 0.1548
C 0.483087 -0.082503 1.511660 4.9 -3.6 -2.6 0.4942
C 1.096111 -1.146463 -2.912796 0.5 0.8 -1.6 0.0232
C -0.715124 0.306737 -3.176754 -0.4 2.9 -0.9 -0.0001
C 1.416403 1.148794 -2.069227 0.3 -2.2 -2.2 0.0496
C 0.365057 -0.012414 -2.185688 1.5 -1.8 -1.0 0.0421
N -1.934428 -2.122096 2.516642 -0.4 -0.2 -0.2 0.0039
N -0.473644 0.751330 1.613237 -3.6 3.2 2.1 0.2555
N -0.084512 -0.518040 -0.863023 0.1 1.8 -0.7 0.5474
H -3.950087 -2.956963 2.345080 -0.9 -0.4 0.1 0.0000
H -0.567467 -0.980510 3.598296 0.1 -0.5 1.1 0.0007
H 0.325434 0.164321 4.690422 0.8 0.6 3.6 0.0007
H 2.054746 0.453473 2.876922 -0.9 -1.3 0.2 0.0282
H 1.615344 -1.357660 2.932680 0.2 0.5 -0.6 0.0049
H -1.847291 0.925681 3.281076 2.1 0.4 -0.5 0.0051
H -0.263052 2.032277 3.335086 -1.0 -1.7 -0.5 0.0072
H -0.573784 1.845685 -0.168365 -0.9 0.4 1.0 0.0131
H -2.193845 1.689972 0.834423 1.2 -0.7 -0.7 0.0030
H -1.772914 -0.834106 0.201625 -0.3 -0.8 0.8 0.0135
H -2.048076 0.066855 -1.239084 0.6 0.2 0.4 0.0015
H 1.842681 -0.804640 0.018121 1.9 0.6 -1.5 0.0161
H 0.753308 -1.827837 0.694904 -0.7 -0.1 -1.7 0.0662
H 1.738779 -0.700238 -3.739695 -0.9 -0.6 1.1 0.0016
H 1.704054 -1.684110 -2.274895 1.7 -1.0 1.4 0.0002
H 0.432299 -1.880682 -3.343281 -0.4 0.0 -0.2 0.0002
H -1.202021 1.263595 -2.778693 -0.2 -1.4 -1.1 0.0005
H -1.368752 -0.520578 -3.512186 0.0 0.6 0.8 0.0002
H -0.173138 0.619506 -4.148779 -0.9 -0.4 1.6 -0.0006
H 1.324505 1.525424 -3.109049 0.6 0.2 0.7 0.0048
H 1.078282 1.907004 -1.430852 0.2 1.1 1.2 0.0039
H 2.454919 0.681688 -1.974556 -1.4 1.2 0.5 0.0010
```
Positions in Å, forces in eV/Å.

The value obtained for the HOMO energy (spin up / spin down) is -8.386 / -12.906 eV. The relative energy (zero: lowest compared OMol25 entry of this formula, charge and spin) comes out at 227.4 kJ/mol. As for the expectation value of S²: 2.009. As for the total charge: +1. The orbital gap (spin up / spin down) is 6.268 / 6.585 eV. The spin multiplicity is 3. The LUMO energy (spin up / spin down) is -2.12 / -6.32 eV. For the molar mass, the calculation gives 208.3 g/mol.

# C12H22N3O4S

A 3-piece molecular cluster, C12H22N3O4S overall (the ωB97M-V functional and the def2-TZVPD basis, the OMol25 dataset).

```
42
Properties=species:S:1:pos:R:3:forces:R:3:lowdin_charge:R:1
C 3.731257 -1.912917 -0.274224 -0.3 0.4 -1.3 -0.0271
C 2.263158 -1.453602 -0.767437 -0.6 2.3 -0.3 -0.0690
N 1.111425 -2.364392 -0.916068 0.3 7.6 -1.6 0.1569
A lot of results will appear, most of them would be free, and would convert your pdf files into professional and optimized image formats.
This will save you all the hassle if you’re not tech savvy. These websites don’t save your data either, just make sure that you end up on an authentic platform like above and not a spamming website.